Today the Office of National Statistics released data about usual residents population in England and Wales down to Local authority level following the census of 2021.
We will have to wait a bit longer for details at MSOA level, that will allow us to understand the impact on Kilburn.
Having been a Census Officer, I could not wait to see the data for the Boroughs present in Kilburn.
While the population of usual residents increased overall in England and Wales, population in Camden and Westminster reduced quite significantly, by 4.6% and 6.84% respectively. In contrast population in Brent increased much more than nationally ie by 9.18%.

Most of the changes in population have realigned the age pyramid of the 3 boroughs with the London wide age pyramid, with Brent’s age representation being more or less equal to that of London as a whole.

== The piece is interrupted by materials data ==
-- begin --
No. 1
Theoretical X-ray powder pattern
Compound: Er2O3
Radiation: copper Kα
Structure: a DFT-relaxed cell (PBE, OQMD)
Intensities are scaled so that the largest is 1000.

```
Er2O3
1.0
-5.233 5.233 5.233
5.233 -5.233 5.233
5.233 5.233 -5.233
Er O
16 24
direct
0.000 0.000 0.000
0.000 0.500 0.500
0.033 0.783 0.250
0.217 0.750 0.967
0.250 0.033 0.783
0.250 0.533 0.283
0.283 0.250 0.533
0.467 0.717 0.750
0.500 0.000 0.500
0.500 0.500 0.000
0.533 0.283 0.250
0.717 0.750 0.467
0.750 0.467 0.717
0.750 0.967 0.217
0.783 0.250 0.033
0.967 0.217 0.750
0.012 0.468 0.739
0.032 0.044 0.271
0.044 0.271 0.032
0.228 0.456 0.488
0.229 0.272 0.761
0.239 0.771 0.728
0.261 0.988 0.532
0.271 0.032 0.044
0.272 0.761 0.229
0.456 0.488 0.228
0.468 0.739 0.012
0.488 0.228 0.456
0.512 0.772 0.544
0.532 0.261 0.988
0.544 0.512 0.772
0.728 0.239 0.771
0.729 0.968 0.956
0.739 0.012 0.468
0.761 0.229 0.272
0.771 0.728 0.239
0.772 0.544 0.512
0.956 0.729 0.968
0.968 0.956 0.729
0.988 0.532 0.261
```

The 10 most intense peaks (2θ = 10–90°), low angle first:
20.79 deg, 4.273 Å, I = 100; 29.57 deg, 3.021 Å, I = 1000; 34.27 deg, 2.616 Å, I = 355; 44.12 deg, 2.053 Å, I = 84; 49.25 deg, 1.850 Å, I = 375; 58.50 deg, 1.578 Å, I = 313; 59.95 deg, 1.543 Å, I = 60; 61.37 deg, 1.511 Å, I = 66; 79.91 deg, 1.201 Å, I = 86; 82.42 deg, 1.170 Å, I = 68

=====

No. 2
Theoretical X-ray powder pattern
Compound: Dy5Si10Ir4
Radiation: copper Kα
Structure: a DFT-relaxed cell (PBE, OQMD)
Intensities are scaled so that the largest is 1000.

```
Dy5Si10Ir4
1.0
12.650 0.000 0.000
0.000 12.650 0.000
0.000 0.000 4.266
Dy Si Ir
10 20 8
direct
0.000 0.000 0.000
0.115 0.385 0.500
0.175 0.675 0.500
0.325 0.175 0.500
0.385 0.885 0.500
0.500 0.500 0.000
0.615 0.115 0.500
0.675 0.825 0.500
0.825 0.325 0.500
0.885 0.615 0.500
0.001 0.843 0.500
0.066 0.566 0.000
0.157 0.001 0.500
0.164 0.201 0.000
0.201 0.836 0.000
0.299 0.336 0.000
0.336 0.701 0.000
0.343 0.501 0.500
0.434 0.066 0.000
0.499 0.343 0.500
0.501 0.657 0.500
0.566 0.934 0.000
0.657 0.499 0.500
0.664 0.299 0.000
0.701 0.664 0.000
0.799 0.164 0.000
0.836 0.799 0.000
0.843 0.999 0.500
0.934 0.434 0.000
0.999 0.157 0.500
0.020 0.755 0.000
0.245 0.020 0.000
0.255 0.520 0.000
0.480 0.255 0.000
0.520 0.745 0.000
0.745 0.480 0.000
0.755 0.980 0.000
0.980 0.245 0.000
```

The 10 most intense peaks (2θ = 10–90°), low angle first:
19.85 deg, 4.472 Å, I = 248; 22.22 deg, 4.000 Å, I = 225; 23.10 deg, 3.851 Å, I = 214; 28.92 deg, 3.087 Å, I = 358; 35.33 deg, 2.541 Å, I = 1000; 36.06 deg, 2.491 Å, I = 356; 36.78 deg, 2.444 Å, I = 290; 40.33 deg, 2.236 Å, I = 250; 42.37 deg, 2.133 Å, I = 336; 45.34 deg, 2.000 Å, I = 171


(1)
Theoretical powder X-ray diffraction pattern of LiSmAl2Au4 for Cu Kα, 1.54184 Å, from the GGA-PBE geometry in Alexandria.
Lines closer than 0.1° are merged.

Main lines, sorted by position (15° ≤ 2θ ≤ 90°):
-- stop --

The young working age population (25 to 44) seems to have left Camden and Westminster in troves. This population bracket is still overrepresented in Camden and Westmister but far less than previously. Possibly as a result, the population of young children (0-9) has reduced significantly. This will certainly lead to a rethink of the provision of pre-school and primary school provisions in both Councils. Conversely, in Brent the 25 to 34 population reduced as well quite significantly, leading to a big reduction in the 0-4 age category. Again a rethink of school provisions might be needed. Of note in Brent, is the increase of the 40-44 age bracket (+16.65%) that probably explains the increase in the age bracket (10-14). No wonder there is pressure on Secondary School places in Brent, with many of the children in this age bracket having to attend school out of Borough.

Population increases are significant in the older working age bracket (50-59) in all 3 boroughs, with significant increases in Brent for the population aged 50 and older. These changes in Brent are bringing the age profile of Brent’s population more in line with the rest of London.

There is no doubt that these numbers support what we all suspect. It is likely that the reduction in young working age population is linked to the affordability/availability of housing in our 3 Boroughs. Young working age people are leaving our area to start families and who would blame them when most of the new housing consists of tower blocks or small flats? This should hopefully lead our Local Authorities to rethink housing provision as the “stacking them high” luxury flats approach is not answering housing shortages for young families. The quality, affordability and size of new housing needs to be seriouly rethought. Sadly our system currently looks only at targets in terms of a generic number of housing units rather than size and affordability of housing units. Most housing growth requirements are not qualified by type of housing, ie “you have to deliver 10000 units” and we don’t care if they are small, big, liveable, affordable or not!
A change in housing delivery is most needed as our neighbourhoods need a mix of population to thrive and a mix a population can only be achieved with affordable mixed sized housing. Wonder if the young generation that has left our Boroughs will ever come back to drive the dynamism of our neighbourhood! I am not sure they will, as the current trend to divide family sized housing continues. In my road, all Victorian houses have now been converted into small flats or turned into HMO’s.
Food for thoughts and a lot of numbers to go through. Can’t wait to see more data released soon.
Please find below the full table that I created from this.